Data:
(1)
Density functional theory data (PBE) for a relaxed structure of HgRh2.

a b c (Å): 4.567 2.815 16.580
angles (deg): 90.00 90.00 90.00
Atoms (fractional coordinates):
Hg  0.500  0.750  0.121
Hg  0.000  0.750  0.379
Hg  0.000  0.250  0.621
Hg  0.500  0.250  0.879
Rh  0.500  0.750  0.564
Rh  0.000  0.250  0.064
Rh  0.000  0.750  0.936
Rh  0.500  0.250  0.436
Rh  0.500  0.750  0.718
Rh  0.500  0.250  0.282
Rh  0.000  0.250  0.218
Rh  0.000  0.750  0.782

Calculated values
The calculated formation energy is 0.37 eV per atom. The value obtained for the density of states at the Fermi level is 19.8 states/eV/cell. As for the space group: No. 74.



(2)
Density functional theory data (PBE) for a relaxed structure of Tl3Hg4Pb4.

a b c (Å): 5.458 6.502 10.181
angles (deg): 90.00 90.00 114.82
Atoms (fractional coordinates):
Tl  0.260  0.520  0.000
Tl  0.398  0.797  0.697
Tl  0.398  0.797  0.303
Hg  0.939  0.878  0.000
Hg  0.757  0.514  0.217
Hg  0.757  0.514  0.783
Hg  0.903  0.807  0.500
Pb  0.097  0.194  0.278
Pb  0.097  0.194  0.722
Pb  0.560  0.121  0.000
Pb  0.631  0.263  0.500

Calculated values
The calculated formation energy is 0.04 eV per atom. The value obtained for the density of states at the Fermi level is 5.1 states/eV/cell. As for the space group: No. 38.



(3)
Density functional theory data (PBE) for a relaxed structure of Fe3Ni6Pt.

a b c (Å): 6.922 4.758 4.758
angles (deg): 60.17 67.12 67.12
Each line ends with the local moment (μB).
Atoms (fractional coordinates):
Ni  0.934  0.356  0.356  0.63
Ni  0.696  0.931  0.447  0.73
Ni  0.696  0.447  0.931  0.73
Ni  0.066  0.644  0.644  0.63
Ni  0.304  0.553  0.069  0.73
Ni  0.304  0.069  0.553  0.73
Fe  0.700  0.937  0.937  2.80
Fe  0.300  0.063  0.063  2.80
Fe  0.000  0.000  0.000  2.75
Pt  0.500  0.500  0.500  0.34

Calculated values
The calculated formation energy is 0.09 eV per atom. The value obtained for the density of states at the Fermi level is 10.5 states/eV/cell. As for the space group: No. 12. The calculation puts the energy above the lowest structure with this stoichiometry at 158 meV/atom.



- What is the calculated formation energy in the third record?
  0.09 eV per atom

Work order:
What is needed: duplicate everything further up without altering anything.

Worked solution:
(1)
Density functional theory data (PBE) for a relaxed structure of HgRh2.

a b c (Å): 4.567 2.815 16.580
angles (deg): 90.00 90.00 90.00
Atoms (fractional coordinates):
Hg  0.500  0.750  0.121
Hg  0.000  0.750  0.379
Hg  0.000  0.250  0.621
Hg  0.500  0.250  0.879
Rh  0.500  0.750  0.564
Rh  0.000  0.250  0.064
Rh  0.000  0.750  0.936
Rh  0.500  0.250  0.436
Rh  0.500  0.750  0.718
Rh  0.500  0.250  0.282
Rh  0.000  0.250  0.218
Rh  0.000  0.750  0.782

Calculated values
The calculated formation energy is 0.37 eV per atom. The value obtained for the density of states at the Fermi level is 19.8 states/eV/cell. As for the space group: No. 74.



(2)
Density functional theory data (PBE) for a relaxed structure of Tl3Hg4Pb4.

a b c (Å): 5.458 6.502 10.181
angles (deg): 90.00 90.00 114.82
Atoms (fractional coordinates):
Tl  0.260  0.520  0.000
Tl  0.398  0.797  0.697
Tl  0.398  0.797  0.303
Hg  0.939  0.878  0.000
Hg  0.757  0.514  0.217
Hg  0.757  0.514  0.783
Hg  0.903  0.807  0.500
Pb  0.097  0.194  0.278
Pb  0.097  0.194  0.722
Pb  0.560  0.121  0.000
Pb  0.631  0.263  0.500

Calculated values
The calculated formation energy is 0.04 eV per atom. The value obtained for the density of states at the Fermi level is 5.1 states/eV/cell. As for the space group: No. 38.



(3)
Density functional theory data (PBE) for a relaxed structure of Fe3Ni6Pt.

a b c (Å): 6.922 4.758 4.758
angles (deg): 60.17 67.12 67.12
Each line ends with the local moment (μB).
Atoms (fractional coordinates):
Ni  0.934  0.356  0.356  0.63
Ni  0.696  0.931  0.447  0.73
Ni  0.696  0.447  0.931  0.73
Ni  0.066  0.644  0.644  0.63
Ni  0.304  0.553  0.069  0.73
Ni  0.304  0.069  0.553  0.73
Fe  0.700  0.937  0.937  2.80
Fe  0.300  0.063  0.063  2.80
Fe  0.000  0.000  0.000  2.75
Pt  0.500  0.500  0.500  0.34

Calculated values
The calculated formation energy is 0.09 eV per atom. The value obtained for the density of states at the Fermi level is 10.5 states/eV/cell. As for the space group: No. 12. The calculation puts the energy above the lowest structure with this stoichiometry at 158 meV/atom.



- What is the calculated formation energy in the third record?
  0.09 eV per atom